October is almost over and Mason has changed so much since he turned 1. He finally took that leap of faith with that first few unassisted steps on October 1st and now has us on our feet (toes) more than we would like! We were just like everyone else as they anxiously/nervously ("is he ever gonna walk?!")/excitingly waiting for that moment and now just want him to sit down for a breather! :) Such an amazing sight to see your child become more and more independent with every step (pun intended).

This is what Mason looks like these days!

playing the drums and posing for a pic before the gig.

rockin' out

he worked up an appetite...
As mentioned in previous posts, we got a Zoo Pass and LOVE it! It has already paid for itself over and over. So nice to not feel guilty about being there for an hour or so...$100 well spent since we already went 5 times since the beginning of Sept! A few weeks ago Auntie Kris came over and we headed to the Zoo. We had great weather and Mason enjoyed himself so much we needed an outfit change. Good thing it was unseasonably warm because we had a diaper only clad boy in the middle of the action and all he wanted was to get at his snack.

gotta stay hydrated! Gatorade with added salt "yum!"

The Zombie walk demonstrated

always go for a train ride before we leave!
Mason is eating all table food now. He continues to love to eat yogurt (it is our go to food if he refuses all else) and applesauce. He likes peas, turkey, and cheese. To be honest there is not much he won't at least take a few bites of...with the exception of pancakes... immediately spits them back out! It has become such a normal thing that we add oil/butter/salt to all his food. In the store we are often putting back food that is "low fat" and make a game of who can find the most fattening food. We get excited when we see a lot of calories/fat/sodium in one small item. I will be honest and say that part still feels weird and I struggle with it some on several levels. Just another way CF keeps poking it's head into our day. He is not a big drinker and he is not too excited about leaving the bottle in the dust. Still working on that and trying to get him to hold the bottle/sippy cup.

like father, like son... :)

Mason let us know he wanted this bag a chips by pulling it into the cart himself! Probably should be glad it wasn't a bottle of wine on the right!

I do love my undefeated Super Bowl Champ Packers!

Mason will love me in 15 years when he sees this! Finally captured his poppy face. ha! He stops what he's doing, makes a few grunts, and his nose gets red!

he plays by a different set of rules...I foresee many a trip to the E.R....just scroll away from this picture Grandma. :)

We hung out in the Mommy and Mason fort this week. Mason opted for exiting via under the chair instead of the opening...10 times over.

Love my daddy!

Hello Ladies!!!!
What does he like to do: open the game cabinet and take out all the playing cards and play 52 card pick up, climb on top of his play table and play with toys, pull all his books out of the shelf and page through them but won't sit still enough to actually read to him, makes a beeline to the linen/storage cabinet in the bathroom if the door is left open and pull out all the bottles of shampoo/body wash then proceed to put them back in the cabinet then repeat, turn on/off light switches especially the one at the top of the stairs because he can reach it himself, run after Mia, gives lots of hugs and Eskimo kisses, take any object out of a container and place it back in then repeat, and climb up on to the red chair next to his Vest/nebulizer machine and sit (even if it is for 20 secs), laughs a ton(can't get enough of that), enjoys sneaking up and startling you and vice versa, he is babbling non stop with some distinct words he says "mama", "daddy/dada", "kitty", and "yea".....is this a record for the longest run on sentence? Ha!

Gotta get my blog post up!

Sometime I like to play in my closet...

## What comes next are quantum chemistry results, not part of the text
┌──
A gas-phase ion, C5H5N2S (charge +1) at a distorted geometry. Source: the OMol25 dataset; level of theory: wB97M-V/def2-TZVPD.

Geometry as XYZ:
```
13
Properties=species:S:1:pos:R:3:lowdin_charge:R:1
C -1.910 -0.682 0.222 -0.07
C -1.341 -1.174 1.330 -0.34
C -1.113 0.090 -0.610 0.00
C 1.191 -0.411 0.633 -0.41
C 2.252 0.172 0.233 0.05
N 0.176 1.808 -1.578 0.14
N -0.610 0.970 -1.222 -0.07
S 0.347 -1.293 1.650 1.20
H -2.878 -0.922 0.045 0.10
H -1.921 -1.731 1.944 0.05
H 2.895 0.013 -0.615 0.11
H 0.134 2.117 -2.594 0.14
H 2.779 1.043 0.560 0.11
```

Properties
Charge   +1
E_LUMO (alpha / beta)   -5.779 / -5.775 eV
Frontier orbital gap (alpha / beta)   7.083 / 7.091 eV
E_HOMO (alpha / beta)   -12.862 / -12.867 eV
Energy relative to the best compared isomer or geometry (same formula, charge and spin)   107.5 kcal per mole


A molecular structure, C33H40F3N3OSi2Sn. Source: the OMol25 dataset; level of theory: wB97M-V/def2-TZVPD.

Geometry as XYZ:
```
83
Properties=species:S:1:pos:R:3:lowdin_charge:R:1
Sn -0.025 -0.384 -0.464 0.91
C 3.380 -1.370 -2.264 -0.06
C 3.872 0.063 -2.506 -0.37
C 4.947 0.416 -1.482 -0.09
C 2.692 1.027 -2.517 -0.22
C 1.615 0.794 -3.370 -0.07
C 0.474 1.589 -3.333 -0.07
C 0.374 2.663 -2.451 -0.30
C -0.871 3.514 -2.387 -0.05
C 1.454 2.907 -1.605 -0.07
C 2.591 2.107 -1.639 -0.06
H 4.231 -2.060 -2.230 0.08
H 2.689 -1.721 -3.031 0.06
H 2.846 -1.435 -1.309 0.04
H 4.338 0.113 -3.497 0.13
H 4.540 0.408 -0.467 0.04
H 5.394 1.399 -1.661 0.08
H 5.747 -0.327 -1.523 0.08
H 1.624 -0.067 -4.031 0.11
H -0.370 1.326 -3.964 0.11
H -0.643 4.565 -2.588 0.07
H -1.339 3.461 -1.401 0.06
H -1.607 3.181 -3.116 0.06
H 1.387 3.711 -0.877 0.10
H 3.380 2.299 -0.922 0.09
O 2.994 -3.431 2.051 -0.07
C 2.598 -2.448 1.371 -0.54
N 1.654 -2.359 0.461 -0.06
C 0.841 -3.544 0.315 -0.20
C -0.462 -3.352 1.072 -0.22
C -1.104 -4.425 1.686 -0.02
C -2.253 -4.212 2.419 -0.08
C -2.753 -2.924 2.526 -0.07
C -2.085 -1.910 1.868 -0.17
N -0.972 -2.111 1.153 0.03
C 3.360 -1.146 1.589 -0.20
C 4.691 -1.182 2.004 -0.02
C 5.363 0.013 2.186 -0.10
C 4.687 1.212 1.976 -0.10
C 3.359 1.146 1.586 -0.18
N 2.711 -0.001 1.385 0.12
H 1.324 -4.445 0.701 0.10
H 0.591 -3.700 -0.742 0.10
H -0.666 -5.411 1.596 0.11
H -2.749 -5.039 2.913 0.10
H -3.646 -2.698 3.094 0.10
H -2.460 -0.894 1.895 0.07
H 5.147 -2.147 2.177 0.11
H 6.402 0.017 2.493 0.09
H 5.171 2.171 2.115 0.09
H 2.780 2.052 1.417 0.10
C -0.574 3.329 1.612 -0.27
Si -1.011 1.462 1.588 0.44
C -0.626 1.016 3.410 -0.26
C -2.947 1.529 1.566 -0.33
C -3.653 2.244 2.546 -0.13
C -5.040 2.312 2.554 -0.13
C -5.761 1.654 1.559 -0.13
C -5.082 0.942 0.579 -0.12
C -3.678 0.859 0.557 -0.32
Si -2.786 -0.121 -0.862 0.44
C -3.753 -1.755 -1.034 -0.24
C -3.412 0.802 -2.407 -0.24
H -0.940 3.790 2.541 0.00
H -1.029 3.861 0.770 0.00
H 0.510 3.492 1.560 -0.01
H -1.078 1.729 4.114 0.00
H 0.460 1.018 3.565 0.01
H -0.977 0.011 3.666 0.00
H -3.101 2.758 3.330 0.08
H -5.557 2.865 3.331 0.08
H -6.845 1.695 1.551 0.08
H -5.659 0.435 -0.192 0.08
H -4.838 -1.584 -1.008 0.01
└──

Remember how I said he likes to put objects into other objects? This was 8:00pm....and

...this was 8:10pm. Pretty fancy clothes hamper!

Hey everybody!

It was only a matter of time when he discovered what fun TP can be! So, what did I do but grab the camera and let him continue to play while I laughed this one time.
He as been to see the doctor twice this month already. He ended up with a cold that turned into a double ear infection. That was not fun. It meant antibiotics, increased treatment to 3x day, nasal spray, nebulizer meds 2x day, and a whole lot of praying it didn't get into his lungs. The cold was the worst part only because he would cough and wheeze in his sleep. There were a few times that I bolted into the room because I didn't like what I heard. We put a pillow under one side of the crib mattress to help with drainage. He even got a chest x-ray because he sounded so gunky...I think his x-ray count since birth is literally in the 40's! He is going to glow in the dark soon! We went back 11 days later for his flu shot and recheck those ears...looks good now! He weighed in at 23 pounds 2 ounces with minimal clothing on and was measured at 31 1/4 inches. We will see where he is on Nov. 14th in the CF clinic.
The post below this has all our excitement at the Pumpkin Farm. Getting excited for Halloween as this will be Mason's first year to participate since he can walk all over and even eat some of the candy! It won't be too hard to figure out what he is going to be!